“I’m not a freak. I promise,” he said. “Just hang around in the crowd after the show. I’ll find you.”

“Why?” I asked him as he stalked off outside, forgetting why he was standing in line.

“Trust me. It’ll be worth sticking around for.”

This equally intrigued me as well as frightened me but not enough that I wouldn’t find out what it was all about.

After I got my water, I headed back up front and squeezed my way through the crowd back to Sunny’s side, but she was nowhere to be seen so I stood lamely by myself. I didn’t care that much actually because I wanted a good “seat” for The Belle Jar. I wanted to be near the stage because there was a chance I needed to help cue Will on bass as he kept missing his new entrance on their third song.

Pampered Life shot out like a rocket from the beginning and blanketed the crowd around me, making everyone stunned by the power of it. It wasn’t long before everyone realized that The Belle Jar was a force to be reckoned with. I was so proud of them, riding high on their talent right along with them.

Seemingly out of nowhere, my breath was wrestled out of my chest when I saw him inch closer to the stage, a quiet towering figure, eyes intent on the stage. Oh, God. Oh, God. Oh, God. Breathe, January. Breathe. He watched The Belle Jar with rapt attention. As I looked on him, my feet pushed themselves closer on their own accord. I was being pulled toward him by an unseen force. I found my feet planted right next to him but couldn’t bring myself to look up at him. He was too magnificent to behold, really. He smelled so delicious I could have eaten him with a spoon. He was all man, no boy in him at all. I peeked briefly at his hands and guessed he probably played the bass judging by the size and location of the calluses.

I wanted to take his hands in mine and study them for hours, rub my thumbs over the worn bits of skin and warm them with my touch. The attraction I felt for him was heady and nothing like I’d ever felt for anyone before. My eyes followed his heavily clad feet, up his worn jeans, and around his wallet chain. I froze, not wanting to take it further, not wanting to know what I’d do if I went any higher.

Here the text breaks off for crystal structures:
~~~
--- A ---
This record from the Materials Project database describes an optimized crystal structure of LiMg14SiO16. The functional is PBE.

```
LiMg14SiO16
1.0
8.512 0.000 0.000
0.000 8.512 0.000
0.000 0.000 4.253
Mg O Si Li
14 16 1 1
direct
0.500 0.246 0.500
0.000 0.758 0.500
0.242 0.000 0.500
0.757 0.243 0.000
0.500 0.000 0.000
0.757 0.757 0.000
0.000 0.242 0.500
0.500 0.754 0.500
0.754 0.500 0.500
0.243 0.757 0.000
0.243 0.243 0.000
0.246 0.500 0.500
0.000 0.500 0.000
0.758 0.000 0.500
0.252 0.748 0.500
0.000 0.500 0.500
0.260 0.000 0.000
0.252 0.252 0.500
0.748 0.748 0.500
0.740 0.000 0.000
0.736 0.500 0.000
0.264 0.500 0.000
0.000 0.000 0.500
0.500 0.736 0.000
0.500 0.264 0.000
0.500 0.500 0.500
0.000 0.740 0.000
0.748 0.252 0.500
0.500 0.000 0.500
0.000 0.260 0.000
0.500 0.500 0.000
0.000 0.000 0.000
```

Space group ... P4/mmm
Total magnetic moment ... 0.0 μB per formula unit
Crystal system ... tetragonal
ρ ... 3.4 g cm⁻³



--- B ---
This record from the Materials Project database describes an optimized crystal structure of LiMg14SiO16. The functional is PBE.

```
LiMg14SiO16
1.0
-1.622 5.415 6.363
-7.089 -4.298 1.850
2.199 -2.478 2.670
Mg O Li Si
14 16 1 1
direct
0.500 0.500 0.000
0.500 0.752 0.500
0.244 0.000 0.500
0.249 0.244 0.000
0.249 0.756 0.000
0.000 0.241 0.500
0.749 0.500 0.500
0.751 0.244 0.000
0.000 0.759 0.500
0.500 0.248 0.500
0.251 0.500 0.500
0.751 0.756 0.000
0.500 0.000 0.000
0.756 0.000 0.500
0.745 0.000 0.000
0.000 0.274 0.000
0.751 0.748 0.500
0.249 0.748 0.500
0.500 0.254 0.000
0.500 0.500 0.500
0.500 0.746 0.000
0.751 0.252 0.500
0.249 0.252 0.500
0.000 0.726 0.000
0.000 0.500 0.500
0.242 0.500 0.000
0.758 0.500 0.000
0.255 0.000 0.000
0.000 0.000 0.500
0.500 0.000 0.500
0.000 0.000 0.000
0.000 0.500 0.000
```

Space group ... Pmmm
Total magnetic moment ... 0.0 μB per formula unit
Crystal system ... orthorhombic
ρ ... 3.4 g cm⁻³



According to the calculations, the structures order from most to least stable as B, A.



--- A ---
This record from the Materials Project database describes an optimized crystal structure of Li2MgTi3O8. The functional is PBE.

```
Li2MgTi3O8
1.0
-0.384 6.553 -5.322
-5.531 -4.219 -4.797
-6.377 3.266 4.481
Li O Ti Mg
8 32 12 4
direct
0.002 0.498 0.502
0.502 0.002 0.498
0.998 0.998 0.998
0.625 0.625 0.625
0.375 0.125 0.875
0.875 0.375 0.125
0.125 0.875 0.375
0.498 0.502 0.002
0.878 0.644 0.641
0.141 0.622 0.356
0.612 0.888 0.112
0.639 0.139 0.361
0.859 0.122 0.144
0.861 0.861 0.861
0.122 0.144 0.859
0.856 0.359 0.378
0.359 0.378 0.856
0.611 0.607 0.372
0.389 0.107 0.128
0.872 0.889 0.393
0.356 0.141 0.622
0.128 0.389 0.107
0.372 0.611 0.607
0.139 0.361 0.639
0.361 0.639 0.139
0.393 0.872 0.889
0.111 0.893 0.628
0.888 0.112 0.612
0.628 0.111 0.893
0.607 0.372 0.611
0.107 0.128 0.389
0.644 0.641 0.878
0.889 0.393 0.872
0.622 0.356 0.141
0.144 0.859 0.122
0.641 0.878 0.644
0.378 0.856 0.359
0.388 0.388 0.388
0.893 0.628 0.111
0.112 0.612 0.888
0.620 0.873 0.866
0.873 0.866 0.620
~~~
Here the text continues:

A minute passed before my gaze traveled over the little bit of wide leather belt exposed under his dark, weighty hoodie and jacket. My eyes stopped at his goatee and I felt his considerable stare on my own face. He’d discovered me, but I was too enthralled to be embarrassed then. I reached up and met my eyes with his. They pierced me like an arrow, those ice blue eyes.

____________
Here is a relaxed SrCu3NiSe4 crystal from Materials Project. Energies are from PBE.

Total moment   3.00 μB/f.u.
Calculated formation energy   -0.61 eV per atom

The structure in POSCAR format:
```
SrCu3NiSe4
1.0
6.011 0.000 0.000
0.000 6.011 0.000
0.000 0.000 6.011
Sr Cu Ni Se
1 3 1 4
Direct
0.500 0.500 0.500
0.000 0.500 0.000
0.000 0.000 0.500
0.500 0.000 0.000
0.000 0.000 0.000
0.223 0.223 0.223
0.777 0.777 0.223
0.223 0.777 0.777
0.777 0.223 0.777
```

* * * * *

Record 1
A plane-wave DFT calculation with meta-GGA r2SCAN was carried out for a geometry-optimized Bi4Te7Pb structure.

abc: 4.4498 4.4498 25.1589
angles: 90.00 90.00 120.00
Last column: nearest neighbours and their distance in Å.
Fractional coordinates of all 12 atoms:
Bi1 0.3333 0.6667 0.8408  6 Te 3.07-3.28
Bi2 0.6667 0.3333 0.4190  6 Te 3.08-3.28
Bi3 0.6667 0.3333 0.1592  6 Te 3.07-3.28
Bi4 0.3333 0.6667 0.5810  6 Te 3.08-3.28
Te1 0.6667 0.3333 0.6484  3 Bi 3.08
Te2 0.3333 0.6667 0.0782  3 Pb 3.24, 3 Bi 3.28
Te3 0.0000 0.0000 0.2261  3 Bi 3.07
Te4 0.3333 0.6667 0.3516  3 Bi 3.08
Te5 0.6667 0.3333 0.9218  3 Pb 3.24, 3 Bi 3.28
Te6 0.0000 0.0000 0.5000  6 Bi 3.28
Te7 0.0000 0.0000 0.7739  3 Bi 3.07
Pb1 0.0000 0.0000 0.0000  6 Te 3.24

* space group: P-3m1
* calculated formation energy: -3.7 eV per formula unit
* magnetic moment: 0.00 μB per formula unit
* theoretical density: 7.453 g/cm3
* total DFT energy (no corrections): -471.95 eV per formula unit

***

Record 2
A plane-wave DFT calculation with meta-GGA r2SCAN was carried out for a geometry-optimized Bi2Te4Pb structure.

abc: 14.7951 14.7951 14.7951
angles: 17.37 17.37 17.37
Last column: nearest neighbours and their distance in Å.
Fractional coordinates of all 7 atoms:
Bi1 0.4246 0.4246 0.4246  6 Te 3.07-3.28
Bi2 0.5754 0.5754 0.5754  6 Te 3.07-3.28
Te1 0.1295 0.1295 0.1295  3 Bi 3.07
Te2 0.2885 0.2885 0.2885  3 Pb 3.24, 3 Bi 3.28
Te3 0.7115 0.7115 0.7115  3 Pb 3.24, 3 Bi 3.28
Te4 0.8705 0.8705 0.8705  3 Bi 3.07
Pb1 0.0000 0.0000 0.0000  6 Te 3.24

* space group: R-3m
* calculated formation energy: -2.4 eV per formula unit
* magnetic moment: 0.00 μB per formula unit
* theoretical density: 7.488 g/cm3
* total DFT energy (no corrections): -277.33 eV per formula unit

***

Record 3
A plane-wave DFT calculation with meta-GGA r2SCAN was carried out for a geometry-optimized BiPd3 structure.

abc: 4.6147 4.6147 4.6147
angles: 60.00 60.00 60.00
Last column: nearest neighbours and their distance in Å.
Fractional coordinates of all 4 atoms:
Bi1 0.5000 0.5000 0.5000  8 Pd 2.83
Pd1 0.7500 0.7500 0.7500  4 Bi 2.83, 4 Pd 2.83
Pd2 0.2500 0.2500 0.2500  4 Bi 2.83, 4 Pd 2.83
Pd3 0.0000 0.0000 0.0000  8 Pd 2.83

* space group: Fm-3m
* calculated formation energy: -0.8 eV per formula unit
* magnetic moment: 0.00 μB per formula unit
* theoretical density: 12.623 g/cm3
* total DFT energy (no corrections): -128.22 eV per formula unit

***

Record 4
____________

I don’t know what came over me. I couldn’t help myself it seems, and I watched my right hand travel up his arm slowly, glide over his shoulder, hesitate at his neck, but push further past the boundaries of sane as the back of my fingers trailed over the line of his jaw. I was pulled into the incredible magic this guy possessed over me. His skin was warm and surprisingly soft. His eyes closed at the feel of my hand, his jaw clenched slightly. I was distracted as his chest pumped with each deep intake of breath.

He surprised me when he turned more fully toward me and reached down, deliberately threading both his hands through my hair and bringing his face closely to mine. He narrowed his eyes, his brows furrowed slightly, conflict written in droves in the lines of his face. He took a deep breath in through his nose, languidly closed his eyes and exhaled slowly.

Sluggishly, I brought his beautiful mouth to mine. He tasted of mint and a little bit of yeast from the beer I saw him drinking at the bar earlier. It was the sweetest, most delicious flavor I’d ever tasted and, God, I wanted more. There was no shame in my motions as I gripped the front of his hoodie in both my hands and delved my tongue deeper into his mouth. The kiss became feverish, dangerous, heated. He moved one of his hands from my hair to the back of my neck and traced his fingers down to the small of my back, pressing me deeper into his chest and hips, inciting a slight moan from me which only spurred him on more.

Suddenly, his eyes shot open in realization. He broke it abruptly, pushed me away lightly and set me right on my feet. I felt bereft of something but didn’t know what that something was. I didn’t know this guy, didn’t know his name, yet it didn’t scare me or make me feel ashamed in any way. It felt right, so very right.

We both stared at the other deeply, panting from the exertion of our unbelievable kiss. I opened my mouth to speak but closed it, breathing deeper through my nose to control my nerves. Nobody had ever made me feel the way this stranger did. He was like electric fire on my skin. I needed to know his name but the silence between us seemed impenetrable, neither of us wanting to break the charged calm that separated us.

Unexpectedly, his eyes became hard, his stare admitting…disgust? His jaw clenched harshly. He turned and walked away from me into the crowd, leaving me alone with myself, alone with my thoughts. My eyes began to water as the final comprehension of what I’d just done washed over me in shameful realization. I blinked and a single tear came cascading down my cheek. I wiped it away just as I looked back up toward the stage, Casey’s face held an expression of concern, but I smiled at him just as I signaled to the bassist to begin his new entrance. Perfect timing, I thought absently.

I was no longer interested in seeing the rest of the set nor willing to endure Circumvent’s. I didn’t want to wait for the guy Jason from the bar either. I wanted out of there. I was humiliated and shunned and an idiot. Self-inflicted bad decisions seemed to be at the top of my list that day. I shoved my way through the crowd and finally broke free at the back on the verge of a sob. I went left into the bar just as someone grabbed the back of my shirt. I tried to ignore it, but the person insisted I turn around, so I did, ready to give them a few choice words but discovered the guy from the bar standing in front of me.

“I told you to stick around,” he said in a friendly tone.

“I know but I’ve gotta jet. Something’s come up,” I said vaguely, tensing my expression to avoid shedding the tears that wanted so badly to come flooding at that moment.

“No, you’re staying,” he said, ignoring me and offering his arm. I opened my mouth to tell him to screw off, but he gave me a look that shut me up. “Trust me, January,” he whispered kindly. “You are not going to want to miss this.”

“Fine,” I said, a little peeved but more sad than anything. I took his arm and we worked our way to the edge of the crowd as The Belle Jar’s set came to an end. The crowd went berserk. “Told you,” I said to Jason.

“You’re right. They were different and talented.”

“I know.”

“But I want to see Circumvent now. I want to confirm what you’ve said.”

“Why?” I asked, furrowing my eyebrows in suspicion.

Jason’s eyes lit up when he noticed someone behind me. “Ah, there you are,” he said, physically turning me around to meet whomever he was talking to. My stomach dropped when I saw who he meant for me to meet. The scout from Seven. The asshole I kissed (who kissed me back!) and left me in the middle of a crowd. “January, this is Tom. Tom, this is the girl I was telling you about.”

Tom’s eyes grew sarcastic, his mouth tilted to one side. “You move fast, little girl.”

My mouth dropped open in shock. “Excuse me?”

All earlier sensations of sadness left me in a whoosh and replaced with anger. I could work with anger.

“Nothing,” he said, a soft snort escaping. “Are you seriously wasting my time with this, Jason?”

“I’m not wasting your time, Tom.”